Sql-server – Looking for a way of moving millions of record without impacting the transaction log


I need to move around 10 million records out of a table into a new "optimized" table, but I need to keep the database online. What would be the best method in doing this without impacting the database performance? Also, turning the Recovery Mode to Simple won't help because its a live OLTP database.

The purpose for the move is to add some new indexes. The problem is there are a lot of records that are old and bulk out the table to around 80 million rows, so I can't just add a new index because the table is used regularly.

Would a SELECT INTO be the better option, or create the table before hand and then use an INSERT?

Best Answer

I regularly do such refactorings, without shutting the system down, and without stopping modifications against the table being refactored. I am moving data in small batches.

Copied from my blog: Refactoring large live OLTP tables without downtime

The entry is interrupted by data records
+++
An optimized crystal structure of Na3Mg5TaS9O36, computed with GGA-PBE.

Results
DFT total energy: -6.304 eV/atom
energy relative to the elements: -2.33 eV per atom

Cell: 8.6634 8.6634 22.5913 Å, 90.00 90.00 120.00°
Closest atoms and distances in Å follow each position.
Space group P3c1 (No. 158)
Symmetry-distinct sites (fractional):
1 Na 0.0000 0.0000 0.0000  6 O 2.49-2.71
2 Na 0.3333 0.6667 0.1535  3 O 2.43
3 Na 0.6667 0.3333 0.3286  6 O 2.54-2.57
4 Mg 0.0000 0.0000 0.1410  6 O 2.04-2.11
5 Mg 0.0000 0.0000 0.3471  6 O 2.03-2.07
6 Mg 0.3333 0.6667 0.0170  6 O 2.04-2.06
7 Mg 0.6667 0.3333 0.1758  6 O 1.99-2.16
8 Mg 0.6667 0.3333 0.4809  6 O 2.00-2.20
9 Ta 0.3333 0.6667 0.3090  6 O 1.97-1.99
10 S 0.0407 0.3730 0.4139  4 O 1.45-1.57
11 S 0.2922 0.0060 0.7458  4 O 1.45-1.57
12 S 0.3737 0.0410 0.0786  4 O 1.48-1.49
13 O 0.0256 0.1990 0.4038  1 S 1.46
14 O 0.0339 0.2165 0.6933  1 S 1.45
15 O 0.1349 0.4908 0.3579  1 S 1.57
16 O 0.1390 0.4937 0.0728  1 S 1.49
17 O 0.1526 0.4595 0.4646  1 S 1.45
18 O 0.1635 0.4753 0.7550  1 S 1.57
19 O 0.1941 0.0219 0.0847  1 S 1.49
20 O 0.2111 0.0264 0.7999  1 S 1.47
21 O 0.4545 0.1482 0.0249  1 S 1.48
22 O 0.4737 0.1562 0.7399  1 S 1.46
23 O 0.4811 0.1213 0.1324  1 S 1.48
24 O 0.4963 0.1335 0.4151  1 S 1.47

~~~~~

# 1
Computed, not measured: a relaxed Ho2CuTc crystal at the PBE level of DFT.

abc: 4.8529 4.8529 4.8529
angles: 60.00 60.00 60.00
With the nearest neighbours (Å) after each atom.
Positions (direct):
Cu  0.5000  0.5000  0.5000  8 Ho 2.97
Ho  0.7500  0.7500  0.7500  4 Tc 2.97, 4 Cu 2.97
Tc  0.0000  0.0000  0.0000  8 Ho 2.97
Ho  0.2500  0.2500  0.2500  4 Tc 2.97, 4 Cu 2.97

## Properties
**E_form**: -0.117 eV/atom
**Uncorrected energy**: -0.221 hartree per atom
**Symmetry**: Fm-3m

=====

# 2
Computed, not measured: a relaxed HoTmCu2 crystal at the PBE level of DFT.

abc: 4.8480 4.8480 4.8480
angles: 60.00 60.00 60.00
With the nearest neighbours (Å) after each atom.
Positions (direct):
Ho  0.5000  0.5000  0.5000  8 Cu 2.97
Cu  0.7500  0.7500  0.7500  4 Tm 2.97, 4 Ho 2.97
Cu  0.2500  0.2500  0.2500  4 Ho 2.97, 4 Tm 2.97
Tm  0.0000  0.0000  0.0000  8 Cu 2.97

## Properties
**E_form**: -0.274 eV/atom
**Uncorrected energy**: -0.169 hartree per atom
**Symmetry**: Fm-3m

=====

The highest E_form belongs to which entry?
Ho2CuTc

=====

The highest uncorrected energy belongs to which entry?
HoTmCu2

=====

Copy entry 1 word for word.
Computed, not measured: a relaxed Ho2CuTc crystal at the PBE level of DFT.

abc: 4.8529 4.8529 4.8529
angles: 60.00 60.00 60.00
With the nearest neighbours (Å) after each atom.
Positions (direct):
Cu  0.5000  0.5000  0.5000  8 Ho 2.97
Ho  0.7500  0.7500  0.7500  4 Tc 2.97, 4 Cu 2.97
Tc  0.0000  0.0000  0.0000  8 Ho 2.97
Ho  0.2500  0.2500  0.2500  4 Tc 2.97, 4 Cu 2.97

## Properties
**E_form**: -0.117 eV/atom
**Uncorrected energy**: -0.221 hartree per atom
**Symmetry**: Fm-3m

=====

The lowest uncorrected energy belongs to which entry?
Ho2CuTc
+++
Back to the entry

Refactoring tables does not have to be such a big deal. We do not have to shut modifications down, migrate all data into new structure, deploy modified modules, and do it all at once, while the system is down.

Doing all migration at once may be risky, and if we make a mistake, there is no easy rollback to the old version. This is why whenever we need to refactor a large table, we are using an alternative, low-risk, no-downtime, incremental approach. The method I am going to describe has been used in practice several times, and we did not have any problems with it.

All our transitions from old table structure to the new one were smooth and incremental. More to the point, we were able to set aside the migration at any time and switch to some other more important task, or leave for the day, or enjoy the weekend, all while the database was fully functional.

Typical refactoring scenario

I am totally making this up, I have never worked on bug tracking systems.

Suppose that we are storing tickets in a table dbo.Tickets, which, among other columns, has a column named AssignedTo. As such, each ticket can be assigned to only one person at any time.

However, the next version of our system will allow to assign a ticket to more than one person. Our plan is to create another table, dbo.TicketAssignments(TicketID, AssignedTo), migrate existing data to it, and change appr. 50 stored procedures affected by this change. To minimize risks, we are going to finish all database changes at least a few days before the new version of our system is released.

This means that the current version of our system is going to run against our refactored database exactly as it did against the old one. BTW, the table dbo.Tickets is quite large, and is heavily used all the time.

Before the migration. Prerequisites.

We shall need some extra disk space, approximately as much as the old table uses up. Besides, we need a server that is not struggling with its current workload, so that it can withstand some additional work for the duration of our migration.

Also we shall need a good test coverage on all modules using the table, including unit tests, stress tests, and performance baselines. Typically in our system we already have solid test coverage.

One more thing: because table structure is going to change, inserts directly into the table are not going to work any more. As a result, all test data should be populated via stored procedures that continue to work against the new table structure.

For example, we might use a stored procedure dbo.SaveTicket that has a parameter @AssingedTo to populate test data for our unit tests.

Creating new tables, changing modifications.

As our first step, we create two new empty tables:

dbo.TicketsV2, which has all the same columns as dbo.Tickets, except it does not have AssignedTo column; dbo.TicketAssignments(TicketID, AssignedTo)

We also change all the procedures which modify dbo.Tickets, so that they write to both old and new tables.

This biggest risk in this step is introducing concurrency-related problems. We need to stress test our modifications well. If we have any problems, however, we can just run a rollback script, changing all the modifications back to their original version. Such rollback takes just a split second.

In fact, we never actually had any problems at this step, because our stress testing harness is quite solid.

Of course, our modifications get slower, but we have made sure that our hardware can handle it. We had not had actual problems with slow modifications either.

Migrating existing data

(What comes next are materials data, not part of the page)
........
Below is crystalline PH9PtC3Cl2 at its relaxed geometry, with properties calculated at the GGA-PBE level.

Energy of formation from the pure elements   -0.40 eV/atom
DFT total energy   -4.910 eV per atom
MP2020-corrected energy   -4.99 eV/atom
Space group   P2_1/c (14)
Size of the total moment   0.00 μB per formula unit

Unit cell a=10.997 b=6.749 c=12.015 alpha=72.41 beta=90.00 gamma=90.00
Sites, in units of the cell vectors:
H: 0.845 0.650 0.891
H: 0.136 0.213 0.509
H: 0.034 0.030 0.602
H: 0.381 0.541 0.077
H: 0.626 0.886 0.276
H: 0.655 0.650 0.391
H: 0.104 0.542 0.726
H: 0.014 0.569 0.340
H: 0.126 0.114 0.224
H: 0.308 0.966 0.095
H: 0.374 0.114 0.724
H: 0.396 0.542 0.226
H: 0.881 0.459 0.423
H: 0.654 0.649 0.242
H: 0.966 0.970 0.398
H: 0.514 0.431 0.160
H: 0.896 0.458 0.274
H: 0.808 0.034 0.405
H: 0.619 0.459 0.923
H: 0.864 0.787 0.491
H: 0.155 0.350 0.109
H: 0.846 0.649 0.742
H: 0.604 0.458 0.774
H: 0.345 0.350 0.609
H: 0.986 0.431 0.660
H: 0.486 0.569 0.840
H: 0.119 0.541 0.577
H: 0.346 0.351 0.758
H: 0.466 0.030 0.102
H: 0.192 0.966 0.595
H: 0.692 0.034 0.905
H: 0.874 0.886 0.776
H: 0.636 0.787 0.991
H: 0.364 0.213 0.009
H: 0.534 0.970 0.898
H: 0.154 0.351 0.258
P: 0.840 0.798 0.290
P: 0.160 0.202 0.710
P: 0.660 0.798 0.790
P: 0.340 0.202 0.210
Pt: 0.895 0.003 0.115
Pt: 0.105 0.997 0.885
Pt: 0.395 0.997 0.385
Pt: 0.605 0.003 0.615
C: 0.373 0.091 0.093
C: 0.322 0.260 0.699
C: 0.873 0.909 0.407
C: 0.822 0.740 0.801
C: 0.127 0.091 0.593
C: 0.085 0.454 0.664
C: 0.415 0.454 0.164
C: 0.585 0.546 0.836
C: 0.678 0.740 0.301
C: 0.178 0.260 0.199
C: 0.627 0.909 0.907
C: 0.915 0.546 0.336
Cl: 0.462 0.775 0.579
Cl: 0.244 0.750 0.869
Cl: 0.038 0.775 0.079
Cl: 0.256 0.750 0.369
Cl: 0.756 0.250 0.131
Cl: 0.962 0.225 0.921
Cl: 0.744 0.250 0.631
Cl: 0.538 0.225 0.421

~~~~~

(1)
DFT (PBE-GGA) results for a relaxed structure of SrTa2O7. Values from VASP.

Computed properties:
Spin magnetization   0.000 μB/cell
Crystal system   tetragonal
Offset from the most stable computed form   175 meV/atom

Quantum ESPRESSO input file:
```
&SYSTEM
  ibrav = 0, nat = 10, ntyp = 3
/
ATOMIC_SPECIES
Sr 87.62 Sr.upf
Ta 180.95 Ta.upf
O 16.00 O.upf
ATOMIC_POSITIONS crystal
Sr 0.000 0.000 0.000
Ta 0.500 0.500 0.222
Ta 0.500 0.500 0.778
O 0.000 0.500 0.198
O 0.000 0.500 0.802
O 0.500 0.000 0.198
O 0.500 0.000 0.802
O 0.500 0.500 0.000
O 0.500 0.500 0.427
O 0.500 0.500 0.573
CELL_PARAMETERS angstrom
3.983 0.000 0.000
0.000 3.983 0.000
0.000 0.000 9.251
```

(2)
DFT (PBE-GGA) results for a relaxed structure of Sr20Ta8O39. Values from VASP.

Computed properties:
Spin magnetization   0.343 μB/cell
Uncorrected energy   -518.1 eV/cell
Crystal system   triclinic

Quantum ESPRESSO input file:
```
&SYSTEM
  ibrav = 0, nat = 67, ntyp = 3
/
ATOMIC_SPECIES
Sr 87.62 Sr.upf
Ta 180.95 Ta.upf
O 16.00 O.upf
ATOMIC_POSITIONS crystal
Sr 0.000 0.000 0.000
Sr 0.010 0.977 0.895
Sr 0.152 0.229 0.428
Sr 0.154 0.234 0.235
Sr 0.243 0.467 0.663
Sr 0.273 0.490 0.768
Sr 0.324 0.645 0.877
........

At this stage all the reports are running off the old table.

As all new changes get saved into both old and new tables, we are also moving over all existing data to the new structure. We want this migration to be non-intrusive, so we typically just run one WHILE loop, moving over like 1K-10K rows at a time, so that our migration does not hinder OLTP activity and reports.

Modifying the reports.

While the data is migrating, we can take our time changing our stored procedures to read from new tables. Because we have good unit testing coverage, we can refactor procedures with confidence - if we break something, we shall know it right away.

Because not all data has been migrated yet, we do not deploy the modified procedures.

Verifying that migration completed.

(1)
KGd2Cl7 | meta-GGA r2SCAN | optimized geometry

The structure in POSCAR format:
```
KGd2Cl7
1.0
6.984 0.000 0.000
0.000 12.757 0.000
-0.287 0.000 12.886
K Gd Cl
4 8 28
Direct
0.206 0.209 0.466 K
0.206 0.291 0.966 K
0.794 0.709 0.034 K
0.794 0.791 0.534 K
0.223 0.536 0.263 Gd
0.223 0.964 0.763 Gd
0.280 0.661 0.754 Gd
0.280 0.839 0.254 Gd
0.720 0.161 0.746 Gd
0.720 0.339 0.246 Gd
0.777 0.036 0.237 Gd
0.777 0.464 0.737 Gd
0.005 0.703 0.326 Cl
0.005 0.797 0.826 Cl
0.022 0.575 0.617 Cl
0.022 0.925 0.117 Cl
0.067 0.526 0.871 Cl
0.067 0.974 0.371 Cl
0.250 0.684 0.104 Cl
0.250 0.816 0.604 Cl
0.448 0.062 0.624 Cl
0.448 0.438 0.124 Cl
0.456 0.093 0.881 Cl
0.456 0.407 0.381 Cl
0.492 0.674 0.332 Cl
0.492 0.826 0.832 Cl
0.508 0.174 0.168 Cl
0.508 0.326 0.668 Cl
0.544 0.593 0.619 Cl
0.544 0.907 0.119 Cl
0.552 0.562 0.876 Cl
0.552 0.938 0.376 Cl
0.750 0.184 0.396 Cl
0.750 0.316 0.896 Cl
0.933 0.026 0.629 Cl
0.933 0.474 0.129 Cl
0.978 0.075 0.883 Cl
0.978 0.425 0.383 Cl
0.995 0.203 0.174 Cl
0.995 0.297 0.674 Cl
```

E_form ... -2.47 eV per atom
V ... 28.71 Å³ per atom
Symmetry ... P2_1/c (14)
Theoretical density ... 3.5 g/cm³
Energy ... -16.062 eV per atom



(2)
K3GdCl6 | meta-GGA r2SCAN | optimized geometry

The structure in POSCAR format:
```
K3GdCl6
1.0
13.096 0.000 0.000
0.000 7.793 0.000
-4.104 0.000 11.858
K Gd Cl
12 4 24
Direct
0.099 0.037 0.359 K
0.099 0.463 0.859 K
0.314 0.563 0.264 K
0.314 0.937 0.764 K
0.321 0.072 0.112 K
0.321 0.428 0.612 K
0.679 0.572 0.388 K
0.679 0.928 0.888 K
0.686 0.063 0.236 K
0.686 0.437 0.736 K
0.901 0.537 0.141 K
0.901 0.963 0.641 K
0.000 0.000 0.000 Gd
0.000 0.500 0.500 Gd
0.500 0.000 0.500 Gd
0.500 0.500 0.000 Gd
0.102 0.205 0.589 Cl
0.102 0.295 0.089 Cl
0.115 0.504 0.363 Cl
0.115 0.996 0.863 Cl
0.149 0.665 0.663 Cl
0.149 0.835 0.163 Cl
0.340 0.214 0.391 Cl
0.340 0.286 0.891 Cl
0.343 0.715 0.004 Cl
0.343 0.785 0.504 Cl
0.500 0.141 0.696 Cl
0.500 0.359 0.196 Cl
0.500 0.641 0.804 Cl
0.500 0.859 0.304 Cl
0.657 0.215 0.496 Cl
0.657 0.285 0.996 Cl
0.660 0.714 0.109 Cl
0.660 0.786 0.609 Cl
0.851 0.165 0.837 Cl
0.851 0.335 0.337 Cl
0.885 0.004 0.137 Cl
0.885 0.496 0.637 Cl
0.898 0.705 0.911 Cl
0.898 0.795 0.411 Cl
```

E_form ... -2.34 eV per atom
V ... 30.26 Å³ per atom
Symmetry ... P2_1/c (14)
Theoretical density ... 2.7 g/cm³
Energy ... -12.181 eV per atom



(3)
Gd3NCl6 | meta-GGA r2SCAN | optimized geometry

The structure in POSCAR format:
```
Gd3NCl6
1.0
7.126 0.000 0.000
3.411 7.436 0.000
3.185 1.237 9.172
Gd N Cl
6 2 12
Direct
0.089 0.088 0.185 Gd
0.218 0.431 0.277 Gd
0.240 0.417 0.875 Gd
0.760 0.583 0.125 Gd
0.782 0.569 0.723 Gd
0.911 0.912 0.815 Gd
0.092 0.369 0.121 N
0.908 0.631 0.879 N
0.030 0.179 0.896 Cl
0.198 0.418 0.591 Cl
0.212 0.106 0.410 Cl
0.324 0.720 0.296 Cl
0.335 0.739 0.711 Cl
0.500 0.000 0.000 Cl
0.500 0.500 0.000 Cl
0.665 0.261 0.289 Cl
0.676 0.280 0.704 Cl
0.788 0.894 0.590 Cl
0.802 0.582 0.409 Cl
0.970 0.821 0.104 Cl
```

E_form ... -2.43 eV per atom
V ... 24.30 Å³ per atom
Symmetry ... P-1 (2)

To verify that all data migrated correctly, we need to write a SQL query. To my best knowledge, there is no GUI tool that can efficiently compare large tables. Writing a query, however, is not that difficult.

This query is going to use a lot of resources. We need to be careful not to bring the server to its knees while the query is running. There are several ways to accomplish that.

Deploying modified reports.

Once we have complete and correct data in the new tables, we can start deploying new procedures. We do not have to deploy them all at once - we can deploy them five or ten modules at a time, even if some other procedures still access the old table.

There is one more problem our team need to be very careful with - our test server is not exactly identical to our production one. As such, we encounter a risk that our procedure runs fast in test environment, but is slow in production.

This is why we first deploy our changed procedures into a different schema, which (schema) is not exposed to our user. For example, instead of altering procedure dbo.GetTicketsForDay, we create a new procedure Internal.GetTicketsForDay. Only developers have privileges on Internal schema, so users cannot execute it yet. Once we have executed Internal.GetTicketsForDay in production environment and are happy with performance, we can deploy it as dbo.GetTicketsForDay.

Our only risk at this stage is that we can deploy poorly performing procedures. Our rollback strategy is simple - we just roll back to the original stored procedures that read from the old table.

Finalizing the migration.

Once all the reports access the new table, we can change our modifications, so that they no longer write to the old table. The old table can be archived out and dropped, reclaiming the additional storage which we needed for the migration.


As we have seen, we can refactor an OLTP table without downtime and with low risks, even if it is big and data migration takes a lot of time.

One more thing: a common reaction to such Agile war stories is a recommendation to "do it right the first time". It is so common that I would like to address it right now.

Of course, at the time when the previous version of bug tracking system, it was quite obvious that eventually we might need to add the ability to assign a ticket to more than one person. Of course, if we had the table dbo.TicketAssignments from the very beginning, we would not have to go through this complex refactoring. In other words, we should "do it right the first time", should we not?

In general, "doing it right the first time", developing a flexible database structure that we should not have to change later, makes a lot of practical sense, but not under all circumstances.

More specifically, when the previous version of bug tracking system was being designed and developed, there were hundreds of brilliant ideas, lots of great features that might be useful later on. Implementing all these hundreds of brilliant ideas would take years, and a much bigger team. It was just not possible. More to the point, it was not what our customers wanted - they wanted us to take care of their most important problems first, and quickly. They did not want to wait until we could provide more features.

Instead of trying to add as many features as possible and as a result delivering a half baked low quality product, the team concentrated on developing only must-have features, on performance, and on very high quality. As a result, the product had a very limited set of features, but it delivered everything it promised, and it was simple, very fast, and rock solid. As such, it was a success.

It would be quite easy to provide examples of over-engineered projects that tried to "do it right the first time" and miserably failed, but this is beyond the scope of this post...